### Assignment
Return all of the entries further down unchanged.

### Material
~~~
CaHI | GGA-PBE | optimized geometry

a b c (Å): 4.029 4.029 9.421
angles (deg): 90.00 90.00 90.00
Element x y z (fractional)
Ca 0.250 0.250 0.128
Ca 0.750 0.750 0.872
H 0.250 0.750 0.000
H 0.750 0.250 0.000
I 0.250 0.250 0.701
I 0.750 0.750 0.299



CaH24I2N8 | GGA-PBE | optimized geometry

a b c (Å): 13.024 8.182 17.192
angles (deg): 90.00 90.00 90.00
Element x y z (fractional)
Ca 0.236 0.250 0.139
Ca 0.264 0.750 0.639
Ca 0.736 0.250 0.361
Ca 0.764 0.750 0.861
H 0.033 0.064 0.116
H 0.033 0.436 0.116
H 0.078 0.250 0.001
H 0.078 0.511 0.585
H 0.078 0.989 0.585
H 0.085 0.150 0.284
H 0.085 0.350 0.284
H 0.095 0.550 0.179
H 0.095 0.950 0.179
H 0.113 0.023 0.716
H 0.113 0.477 0.716
H 0.118 0.606 0.507
H 0.118 0.894 0.507
H 0.122 0.563 0.086
H 0.122 0.937 0.086
H 0.158 0.593 0.786
H 0.158 0.907 0.786
H 0.177 0.150 0.966
H 0.177 0.350 0.966
H 0.180 0.250 0.322
H 0.183 0.047 0.541
H 0.183 0.453 0.541
H 0.230 0.046 0.747
H 0.230 0.454 0.747
H 0.270 0.546 0.247
H 0.270 0.954 0.247
H 0.317 0.547 0.041
H 0.317 0.953 0.041
H 0.320 0.750 0.822
H 0.323 0.650 0.466
H 0.323 0.850 0.466
H 0.342 0.093 0.286
H 0.342 0.407 0.286
H 0.378 0.063 0.586
H 0.378 0.437 0.586
H 0.382 0.106 0.007
H 0.382 0.394 0.007
H 0.387 0.523 0.216
H 0.387 0.977 0.216
H 0.405 0.050 0.679
H 0.405 0.450 0.679
H 0.415 0.650 0.784
H 0.415 0.850 0.784
H 0.422 0.011 0.085
H 0.422 0.489 0.085
H 0.422 0.750 0.501
H 0.467 0.564 0.616
H 0.467 0.936 0.616
H 0.533 0.064 0.384
H 0.533 0.436 0.384
H 0.578 0.250 0.499
H 0.578 0.511 0.915
H 0.578 0.989 0.915
H 0.585 0.150 0.216
H 0.585 0.350 0.216
H 0.595 0.550 0.321
H 0.595 0.950 0.321
H 0.613 0.023 0.784
H 0.613 0.477 0.784
H 0.618 0.606 0.993
H 0.618 0.894 0.993
H 0.622 0.563 0.414
H 0.622 0.937 0.414
H 0.658 0.593 0.714
H 0.658 0.907 0.714
H 0.677 0.150 0.534
H 0.677 0.350 0.534
H 0.680 0.250 0.178
H 0.683 0.047 0.959
H 0.683 0.453 0.959
H 0.730 0.046 0.753
H 0.730 0.454 0.753
H 0.770 0.546 0.253
H 0.770 0.954 0.253
H 0.817 0.547 0.459
H 0.817 0.953 0.459
H 0.820 0.750 0.678
H 0.823 0.650 0.034
H 0.823 0.850 0.034
H 0.842 0.093 0.214
H 0.842 0.407 0.214
H 0.878 0.063 0.914
H 0.878 0.437 0.914
H 0.882 0.106 0.493
H 0.882 0.394 0.493
H 0.887 0.523 0.284
H 0.887 0.977 0.284
H 0.905 0.050 0.821
H 0.905 0.450 0.821
H 0.915 0.650 0.716
H 0.915 0.850 0.716
H 0.922 0.011 0.415
H 0.922 0.489 0.415
H 0.922 0.750 0.999
H 0.967 0.564 0.884
H 0.967 0.936 0.884
I 0.076 0.750 0.330
I 0.154 0.750 0.943
I 0.346 0.250 0.443
I 0.424 0.250 0.830
I 0.576 0.750 0.170
I 0.654 0.750 0.557
I 0.846 0.250 0.057
I 0.924 0.250 0.670
N 0.104 0.018 0.130
N 0.104 0.482 0.130
N 0.131 0.250 0.276
N 0.143 0.554 0.557
N 0.143 0.946 0.557
N 0.157 0.250 0.998
N 0.177 0.541 0.733
N 0.177 0.959 0.733
N 0.323 0.041 0.233
N 0.323 0.459 0.233
N 0.343 0.750 0.498
N 0.357 0.054 0.057
N 0.357 0.446 0.057
N 0.369 0.750 0.776
N 0.396 0.518 0.630
N 0.396 0.982 0.630
N 0.604 0.018 0.370
N 0.604 0.482 0.370
N 0.631 0.250 0.224
N 0.643 0.554 0.943
N 0.643 0.946 0.943
N 0.657 0.250 0.502
N 0.677 0.541 0.767
N 0.677 0.959 0.767
N 0.823 0.041 0.267
N 0.823 0.459 0.267
N 0.843 0.750 0.002
N 0.857 0.054 0.443
N 0.857 0.446 0.443
N 0.869 0.750 0.724
N 0.896 0.518 0.870
N 0.896 0.982 0.870

Output
**Total moment**: 0.20 μB per cell



no.,DFT formation energy (eV per formula unit)
1,-3.72
2,-20.22

----------

Entry 1:
Computed, not measured: a geometry-optimized LiFeAs structure at the GGA-PBE level of DFT.

## Properties
E_tot (eV/atom): -5.1584
Largest piezoelectric modulus (C/m2): 1.8
Magnetic moment (μB/f.u.): 0.0

Unit cell a=4.5375 b=4.5375 c=4.5375 alpha=141.13 beta=141.13 gamma=56.15
With the nearest neighbours (Å) after each atom.
Positions (direct):
1 Li 0.0000 0.0000 0.0000  5 As 2.56-2.59, 5 Fe 2.57-2.58
2 Fe 0.6779 0.6779 0.0000  4 As 2.43, 5 Li 2.57-2.58
3 As 0.3240 0.3240 0.0000  4 Fe 2.43, 5 Li 2.56-2.59

Entry 2:
Computed, not measured: a geometry-optimized PrZnRh structure at the GGA-PBE level of DFT.

## Properties
E_tot (eV/atom): -5.0986
~~~

### Response
CaHI | GGA-PBE | optimized geometry

a b c (Å): 4.029 4.029 9.421
angles (deg): 90.00 90.00 90.00
Element x y z (fractional)
Ca 0.250 0.250 0.128
Ca 0.750 0.750 0.872
H 0.250 0.750 0.000
H 0.750 0.250 0.000
I 0.250 0.250 0.701
I 0.750 0.750 0.299



CaH24I2N8 | GGA-PBE | optimized geometry

a b c (Å): 13.024 8.182 17.192
angles (deg): 90.00 90.00 90.00
Element x y z (fractional)
Ca 0.236 0.250 0.139
Ca 0.264 0.750 0.639
Ca 0.736 0.250 0.361
Ca 0.764 0.750 0.861
H 0.033 0.064 0.116
H 0.033 0.436 0.116
H 0.078 0.250 0.001
H 0.078 0.511 0.585
H 0.078 0.989 0.585
H 0.085 0.150 0.284
H 0.085 0.350 0.284
H 0.095 0.550 0.179
H 0.095 0.950 0.179
H 0.113 0.023 0.716
H 0.113 0.477 0.716
H 0.118 0.606 0.507
H 0.118 0.894 0.507
H 0.122 0.563 0.086
H 0.122 0.937 0.086
H 0.158 0.593 0.786
H 0.158 0.907 0.786
H 0.177 0.150 0.966
H 0.177 0.350 0.966
H 0.180 0.250 0.322
H 0.183 0.047 0.541
H 0.183 0.453 0.541
H 0.230 0.046 0.747
H 0.230 0.454 0.747
H 0.270 0.546 0.247
H 0.270 0.954 0.247
H 0.317 0.547 0.041
H 0.317 0.953 0.041
H 0.320 0.750 0.822
H 0.323 0.650 0.466
H 0.323 0.850 0.466
H 0.342 0.093 0.286
H 0.342 0.407 0.286
H 0.378 0.063 0.586
H 0.378 0.437 0.586
H 0.382 0.106 0.007
H 0.382 0.394 0.007
H 0.387 0.523 0.216
H 0.387 0.977 0.216
H 0.405 0.050 0.679
H 0.405 0.450 0.679
H 0.415 0.650 0.784
H 0.415 0.850 0.784
H 0.422 0.011 0.085
H 0.422 0.489 0.085
H 0.422 0.750 0.501
H 0.467 0.564 0.616
H 0.467 0.936 0.616
H 0.533 0.064 0.384
H 0.533 0.436 0.384
H 0.578 0.250 0.499
H 0.578 0.511 0.915
H 0.578 0.989 0.915
H 0.585 0.150 0.216
H 0.585 0.350 0.216
H 0.595 0.550 0.321
H 0.595 0.950 0.321
H 0.613 0.023 0.784
H 0.613 0.477 0.784
H 0.618 0.606 0.993
H 0.618 0.894 0.993
H 0.622 0.563 0.414
H 0.622 0.937 0.414
H 0.658 0.593 0.714
H 0.658 0.907 0.714
H 0.677 0.150 0.534
H 0.677 0.350 0.534
H 0.680 0.250 0.178
H 0.683 0.047 0.959
H 0.683 0.453 0.959
H 0.730 0.046 0.753
H 0.730 0.454 0.753
H 0.770 0.546 0.253
H 0.770 0.954 0.253
H 0.817 0.547 0.459
H 0.817 0.953 0.459
H 0.820 0.750 0.678
H 0.823 0.650 0.034
H 0.823 0.850 0.034
H 0.842 0.093 0.214
H 0.842 0.407 0.214
H 0.878 0.063 0.914
H 0.878 0.437 0.914
H 0.882 0.106 0.493
H 0.882 0.394 0.493
H 0.887 0.523 0.284
H 0.887 0.977 0.284
H 0.905 0.050 0.821
H 0.905 0.450 0.821
H 0.915 0.650 0.716
H 0.915 0.850 0.716
H 0.922 0.011 0.415
H 0.922 0.489 0.415
H 0.922 0.750 0.999
H 0.967 0.564 0.884
H 0.967 0.936 0.884
I 0.076 0.750 0.330
I 0.154 0.750 0.943
I 0.346 0.250 0.443
I 0.424 0.250 0.830
I 0.576 0.750 0.170
I 0.654 0.750 0.557
I 0.846 0.250 0.057
I 0.924 0.250 0.670
N 0.104 0.018 0.130
N 0.104 0.482 0.130
N 0.131 0.250 0.276
N 0.143 0.554 0.557
N 0.143 0.946 0.557
N 0.157 0.250 0.998
N 0.177 0.541 0.733
N 0.177 0.959 0.733
N 0.323 0.041 0.233
N 0.323 0.459 0.233
N 0.343 0.750 0.498
N 0.357 0.054 0.057
N 0.357 0.446 0.057
N 0.369 0.750 0.776
N 0.396 0.518 0.630
N 0.396 0.982 0.630
N 0.604 0.018 0.370
N 0.604 0.482 0.370
N 0.631 0.250 0.224
N 0.643 0.554 0.943
N 0.643 0.946 0.943
N 0.657 0.250 0.502
N 0.677 0.541 0.767
N 0.677 0.959 0.767
N 0.823 0.041 0.267
N 0.823 0.459 0.267
N 0.843 0.750 0.002
N 0.857 0.054 0.443
N 0.857 0.446 0.443
N 0.869 0.750 0.724
N 0.896 0.518 0.870
N 0.896 0.982 0.870

Output
**Total moment**: 0.20 μB per cell



no.,DFT formation energy (eV per formula unit)
1,-3.72
2,-20.22

----------

Entry 1:
Computed, not measured: a geometry-optimized LiFeAs structure at the GGA-PBE level of DFT.

## Properties
E_tot (eV/atom): -5.1584
Largest piezoelectric modulus (C/m2): 1.8
Magnetic moment (μB/f.u.): 0.0

Unit cell a=4.5375 b=4.5375 c=4.5375 alpha=141.13 beta=141.13 gamma=56.15
With the nearest neighbours (Å) after each atom.
Positions (direct):
1 Li 0.0000 0.0000 0.0000  5 As 2.56-2.59, 5 Fe 2.57-2.58
2 Fe 0.6779 0.6779 0.0000  4 As 2.43, 5 Li 2.57-2.58
3 As 0.3240 0.3240 0.0000  4 Fe 2.43, 5 Li 2.56-2.59

Entry 2:
Computed, not measured: a geometry-optimized PrZnRh structure at the GGA-PBE level of DFT.

## Properties
E_tot (eV/atom): -5.0986